Excerpt
Compound: Ta2Pd13
Source: the Alexandria database
Functional: PBE
Structure: optimized geometry

## Properties
space group	R-3m, No. 166
formation energy from the elements	0.207	eV per atom

Cell: 7.8094 7.8094 7.8094 Å, 55.20 55.20 55.20°
With the nearest neighbours (Å) after each atom.
Fractional positions:
Ta  0.2474  0.2474  0.2474  6 Pd 2.55-2.67
Ta  0.7526  0.7526  0.7526  6 Pd 2.55-2.67
Pd  0.0000  0.0000  0.0000  12 Pd 2.67-2.69
Pd  0.0267  0.0267  0.6291  1 Ta 2.55, 5 Pd 2.56-2.82
Pd  0.0267  0.6291  0.0267  1 Ta 2.55, 5 Pd 2.56-2.82
Pd  0.2353  0.2353  0.6030  8 Pd 2.66-2.82, 1 Ta 2.67
Pd  0.2353  0.6030  0.2353  8 Pd 2.66-2.82, 1 Ta 2.67
Pd  0.3709  0.9733  0.9733  1 Ta 2.55, 5 Pd 2.56-2.82
Pd  0.3970  0.7647  0.7647  8 Pd 2.66-2.82, 1 Ta 2.67
Pd  0.6030  0.2353  0.2353  8 Pd 2.66-2.82, 1 Ta 2.67
Pd  0.6291  0.0267  0.0267  1 Ta 2.55, 5 Pd 2.56-2.82
Pd  0.7647  0.3970  0.7647  8 Pd 2.66-2.82, 1 Ta 2.67
Pd  0.7647  0.7647  0.3970  8 Pd 2.66-2.82, 1 Ta 2.67
Pd  0.9733  0.3709  0.9733  1 Ta 2.55, 5 Pd 2.56-2.82
Pd  0.9733  0.9733  0.3709  1 Ta 2.55, 5 Pd 2.56-2.82

Compound: LiAg3As
Source: the Alexandria database
Functional: PBE
Structure: optimized geometry

## Properties
space group	Pm-3m, No. 221
formation energy from the elements	0.196	eV per atom

Cell: 4.9688 4.9688 4.9688 Å, 90.00 90.00 90.00°
With the nearest neighbours (Å) after each atom.
Fractional positions:
Li  0.0000  0.0000  0.0000  12 Ag 3.51
Ag  0.0000  0.5000  0.5000  2 As 2.48
Ag  0.5000  0.0000  0.5000  2 As 2.48
Ag  0.5000  0.5000  0.0000  2 As 2.48
As  0.5000  0.5000  0.5000  6 Ag 2.48

Compound: Pm2PrThN4
Source: the Alexandria database
Functional: PBE
Structure: optimized geometry

## Properties
space group	P2/m, No. 10
ΔE_f (raw)	-1480	meV per atom

Cell: 6.3014 3.6519 6.3121 Å, 90.00 109.38 90.00°
With the nearest neighbours (Å) after each atom.
Fractional positions:
Pm  0.0000  0.0000  0.0000  6 N 2.55-2.56
Pm  0.0000  0.5000  0.5000  6 N 2.62-2.63
Pr  0.5000  0.0000  0.5000  6 N 2.59-2.60
Th  0.5000  0.5000  0.0000  6 N 2.52-2.54
N  0.2516  0.5000  0.2410  1 Th 2.52, 3 Pm 2.56-2.63, 2 Pr 2.60
N  0.2557  0.0000  0.7596  2 Th 2.54, 3 Pm 2.55-2.62, 1 Pr 2.59
N  0.7443  0.0000  0.2404  2 Th 2.54, 3 Pm 2.55-2.62, 1 Pr 2.59
N  0.7484  0.5000  0.7590  1 Th 2.52, 3 Pm 2.56-2.63, 2 Pr 2.60

Compound: NaSr4Re3O12
Source: the Alexandria database
Functional: PBE
Structure: optimized geometry

## Properties
space group	Im-3m, No. 229
ΔE_f (raw)	-2117	meV per atom

Cell: 6.9817 6.9817 6.9817 Å, 109.47 109.47 109.47°
With the nearest neighbours (Å) after each atom.
Fractional positions:
Na  0.0000  0.0000  0.0000  6 O 2.15
Sr  0.0000  0.0000  0.5000  12 O 2.85
Sr  0.0000  0.5000  0.0000  12 O 2.85
Sr  0.5000  0.0000  0.0000  12 O 2.85
Sr  0.5000  0.5000  0.5000  12 O 2.85
Re  0.0000  0.5000  0.5000  6 O 1.88-2.02
Re  0.5000  0.0000  0.5000  6 O 1.88-2.02
Re  0.5000  0.5000  0.0000  6 O 1.88-2.02
O  0.0000  0.2663  0.2663  1 Re 1.88

To do
Could you duplicate the whole of the material further up character by character?

Result
Compound: Ta2Pd13
Source: the Alexandria database
Functional: PBE
Structure: optimized geometry

## Properties
space group	R-3m, No. 166
formation energy from the elements	0.207	eV per atom

Cell: 7.8094 7.8094 7.8094 Å, 55.20 55.20 55.20°
With the nearest neighbours (Å) after each atom.
Fractional positions:
Ta  0.2474  0.2474  0.2474  6 Pd 2.55-2.67
Ta  0.7526  0.7526  0.7526  6 Pd 2.55-2.67
Pd  0.0000  0.0000  0.0000  12 Pd 2.67-2.69
Pd  0.0267  0.0267  0.6291  1 Ta 2.55, 5 Pd 2.56-2.82
Pd  0.0267  0.6291  0.0267  1 Ta 2.55, 5 Pd 2.56-2.82
Pd  0.2353  0.2353  0.6030  8 Pd 2.66-2.82, 1 Ta 2.67
Pd  0.2353  0.6030  0.2353  8 Pd 2.66-2.82, 1 Ta 2.67
Pd  0.3709  0.9733  0.9733  1 Ta 2.55, 5 Pd 2.56-2.82
Pd  0.3970  0.7647  0.7647  8 Pd 2.66-2.82, 1 Ta 2.67
Pd  0.6030  0.2353  0.2353  8 Pd 2.66-2.82, 1 Ta 2.67
Pd  0.6291  0.0267  0.0267  1 Ta 2.55, 5 Pd 2.56-2.82
Pd  0.7647  0.3970  0.7647  8 Pd 2.66-2.82, 1 Ta 2.67
Pd  0.7647  0.7647  0.3970  8 Pd 2.66-2.82, 1 Ta 2.67
Pd  0.9733  0.3709  0.9733  1 Ta 2.55, 5 Pd 2.56-2.82
Pd  0.9733  0.9733  0.3709  1 Ta 2.55, 5 Pd 2.56-2.82

Compound: LiAg3As
Source: the Alexandria database
Functional: PBE
Structure: optimized geometry

## Properties
space group	Pm-3m, No. 221
formation energy from the elements	0.196	eV per atom

Cell: 4.9688 4.9688 4.9688 Å, 90.00 90.00 90.00°
With the nearest neighbours (Å) after each atom.
Fractional positions:
Li  0.0000  0.0000  0.0000  12 Ag 3.51
Ag  0.0000  0.5000  0.5000  2 As 2.48
Ag  0.5000  0.0000  0.5000  2 As 2.48
Ag  0.5000  0.5000  0.0000  2 As 2.48
As  0.5000  0.5000  0.5000  6 Ag 2.48

Compound: Pm2PrThN4
Source: the Alexandria database
Functional: PBE
Structure: optimized geometry

## Properties
space group	P2/m, No. 10
ΔE_f (raw)	-1480	meV per atom

Cell: 6.3014 3.6519 6.3121 Å, 90.00 109.38 90.00°
With the nearest neighbours (Å) after each atom.
Fractional positions:
Pm  0.0000  0.0000  0.0000  6 N 2.55-2.56
Pm  0.0000  0.5000  0.5000  6 N 2.62-2.63
Pr  0.5000  0.0000  0.5000  6 N 2.59-2.60
Th  0.5000  0.5000  0.0000  6 N 2.52-2.54
N  0.2516  0.5000  0.2410  1 Th 2.52, 3 Pm 2.56-2.63, 2 Pr 2.60
N  0.2557  0.0000  0.7596  2 Th 2.54, 3 Pm 2.55-2.62, 1 Pr 2.59
N  0.7443  0.0000  0.2404  2 Th 2.54, 3 Pm 2.55-2.62, 1 Pr 2.59
N  0.7484  0.5000  0.7590  1 Th 2.52, 3 Pm 2.56-2.63, 2 Pr 2.60

Compound: NaSr4Re3O12
Source: the Alexandria database
Functional: PBE
Structure: optimized geometry

## Properties
space group	Im-3m, No. 229
ΔE_f (raw)	-2117	meV per atom

Cell: 6.9817 6.9817 6.9817 Å, 109.47 109.47 109.47°
With the nearest neighbours (Å) after each atom.
Fractional positions:
Na  0.0000  0.0000  0.0000  6 O 2.15
Sr  0.0000  0.0000  0.5000  12 O 2.85
Sr  0.0000  0.5000  0.0000  12 O 2.85
Sr  0.5000  0.0000  0.0000  12 O 2.85
Sr  0.5000  0.5000  0.5000  12 O 2.85
Re  0.0000  0.5000  0.5000  6 O 1.88-2.02
Re  0.5000  0.0000  0.5000  6 O 1.88-2.02
Re  0.5000  0.5000  0.0000  6 O 1.88-2.02
O  0.0000  0.2663  0.2663  1 Re 1.88